== Excerpt ==
- - -
1.
Compound: Cu3Ge
Source: the Materials Project database
Functional: PBE-GGA
Structure: relaxed

Energy of formation ... 0.14 eV per atom

Cell and atoms, written as POSCAR:
```
Cu3Ge
1.0
1.364 -2.363 0.000
1.364 2.363 0.000
0.000 0.000 8.269
Cu Ge
3 1
Direct
0.333 0.667 0.500
0.000 0.000 0.742
0.000 0.000 0.258
0.333 0.667 0.000
```

---

2.
Compound: Ho9B4O19
Source: the Materials Project database
Functional: PBE-GGA
Structure: relaxed

Energy of formation ... -3.67 eV per atom

Cell and atoms, written as POSCAR:
```
Ho9B4O19
1.0
7.291 0.000 0.000
1.817 9.145 0.000
1.826 2.075 12.294
Ho B O
18 8 38
Direct
0.751 0.006 0.993
0.249 0.994 0.007
0.376 0.894 0.597
0.880 0.888 0.594
0.464 0.841 0.266
0.983 0.840 0.265
0.686 0.519 0.736
0.184 0.534 0.733
0.576 0.646 0.045
0.079 0.645 0.044
0.921 0.355 0.956
0.424 0.354 0.955
0.314 0.481 0.264
0.816 0.466 0.267
0.536 0.159 0.734
0.017 0.160 0.735
0.624 0.106 0.403
0.120 0.112 0.406
0.341 0.816 0.820
0.841 0.814 0.820
0.718 0.658 0.469
0.217 0.648 0.485
0.282 0.342 0.531
0.783 0.352 0.515
0.659 0.184 0.180
0.159 0.186 0.180
0.316 0.966 0.771
0.815 0.965 0.771
0.399 0.972 0.416
0.909 0.967 0.414
0.823 0.778 0.931
0.323 0.778 0.932
0.525 0.881 0.087
0.991 0.880 0.087
0.884 0.710 0.750
0.385 0.711 0.751
0.680 0.708 0.568
0.177 0.733 0.567
0.722 0.741 0.368
0.232 0.699 0.377
0.149 0.496 0.912
0.647 0.500 0.911
0.549 0.606 0.234
0.031 0.605 0.234
0.242 0.497 0.532
0.758 0.503 0.468
0.451 0.394 0.766
0.969 0.395 0.766
0.353 0.500 0.089
0.851 0.504 0.088
0.278 0.259 0.632
0.768 0.301 0.623
0.320 0.292 0.432
0.823 0.267 0.433
0.615 0.289 0.249
0.116 0.290 0.250
0.475 0.119 0.913
0.009 0.120 0.913
0.677 0.222 0.068
0.177 0.222 0.069
0.601 0.028 0.584
0.091 0.033 0.586
0.684 0.034 0.229
0.185 0.035 0.229
```

---

3.
Compound: Ba4PrYCu6O14
Source: the Materials Project database
Functional: PBE-GGA
Structure: relaxed

Energy of formation ... -2.16 eV per atom
ΔE to the lowest computed polymorph ... 9 meV/atom

Cell and atoms, written as POSCAR:
```
Ba4PrYCu6O14
1.0
-1.224 3.078 -2.016
1.522 -1.552 -3.295
-20.712 -11.084 -4.348
Ba Pr Y Cu O
4 1 1 6 14
Direct
0.500 0.500 0.341
0.500 0.500 0.839
0.500 0.500 0.659
0.500 0.500 0.161
0.500 0.500 0.000
0.500 0.500 0.500
0.000 0.000 0.427
0.000 0.000 0.923
0.000 0.000 0.573
0.000 0.000 0.077
0.000 0.000 0.251
0.000 0.000 0.749
0.500 0.000 0.440
0.500 0.000 0.935
0.500 0.000 0.560
0.500 0.000 0.065
0.000 0.500 0.440
0.000 0.500 0.935
0.000 0.500 0.560
0.000 0.500 0.065
0.000 0.000 0.329
0.000 0.000 0.828
0.000 0.000 0.671
0.000 0.000 0.172
0.000 0.500 0.251
0.000 0.500 0.749
```

---

4.
Compound: LiP2H8NO8
Source: the Materials Project database
Functional: PBE-GGA
Structure: relaxed

Energy of formation ... -1.74 eV per atom

Cell and atoms, written as POSCAR:
```
LiP2H8NO8
1.0
7.766 0.000 0.000
0.000 13.079 0.000
-1.418 0.000 7.508
Li P H N O
4 8 32 4 32
Direct
0.838 0.396 0.312
0.162 0.896 0.188
0.162 0.604 0.688
0.838 0.104 0.812
0.813 0.166 0.422
0.187 0.666 0.078
0.187 0.834 0.578
0.813 0.334 0.922
0.244 0.427 0.453
0.756 0.927 0.047
0.756 0.573 0.547
0.244 0.073 0.953
0.314 0.046 0.458
0.686 0.546 0.042
0.686 0.954 0.542
0.314 0.454 0.958
0.501 0.117 0.497
0.499 0.617 0.003
0.499 0.883 0.503
0.501 0.383 0.997
0.330 0.148 0.329
0.670 0.648 0.171
0.670 0.852 0.671
0.330 0.352 0.829
0.311 0.164 0.543
0.689 0.664 0.957
0.689 0.836 0.457
0.311 0.336 0.043
0.728 0.185 0.136
0.272 0.685 0.364
0.272 0.815 0.864
0.728 0.315 0.636
0.953 0.045 0.304
0.047 0.545 0.196
0.047 0.955 0.696
0.953 0.455 0.804
0.080 0.306 0.538
0.920 0.806 0.962
0.920 0.694 0.462
0.080 0.194 0.038
0.510 0.437 0.382
0.490 0.937 0.118
0.490 0.563 0.618
0.510 0.063 0.882
0.364 0.119 0.457
0.636 0.619 0.043
0.636 0.881 0.543
0.364 0.381 0.957
0.673 0.166 0.240
0.327 0.666 0.260
0.327 0.834 0.760
0.673 0.334 0.740
0.981 0.109 0.382
0.019 0.609 0.118
0.019 0.891 0.618
0.981 0.391 0.882
0.725 0.109 0.556
0.275 0.609 0.944
0.275 0.891 0.444
0.725 0.391 0.056
0.867 0.275 0.480
- - -

== Wanted ==
Could you say how many lines of the notes earlier on hold the word "as", as a bare number?

== Written answer ==
4